**Wanted**
It remains to duplicate the entries below word for word.
**Given**
=====
Theoretical powder X-ray diffraction pattern
Compound: NaLaTbCoO6
Radiation: CuKα
Structure: a structure optimized by DFT (PBE+U)

Largest 10 diffraction maxima, in order of rising 2θ, 10 to 80 degrees two-theta:
- 2θ = 19.15°, I 35, hkl 1 1 1
- 2θ = 22.14°, I 9, hkl 2 0 0
- 2θ = 31.52°, I 100, hkl 2 2 0
- 2θ = 37.14°, I 24, hkl 3 1 1
- 2θ = 45.18°, I 33, hkl 4 0 0
- 2θ = 49.49°, I 12, hkl 3 3 1
- 2θ = 56.12°, I 39, hkl 4 2 2
- 2θ = 59.86°, I 7, hkl 3 3 3
- 2θ = 65.80°, I 19, hkl 4 4 0
- 2θ = 74.79°, I 17, hkl 6 2 0

Structure:
Cell: 8.0284 8.0284 8.0284 Å, 90.00 90.00 90.00°
Space group F-43m (No. 216)
Asymmetric unit:
Na: 0.0000 0.0000 0.0000 [4 per cell]
La: 0.0000 0.0000 0.5000 [4 per cell]
Tb: 0.2500 0.2500 0.7500 [4 per cell]
Co: 0.2500 0.2500 0.2500 [4 per cell]
O: 0.0212 0.2500 0.2500 [24 per cell]

* * * * *

# 1
Sn3WO6: theoretical PXRD pattern (λ = 1.5418 Å (Cu Kα)), based on a cell relaxed with PBE+U.
Neutral-atom scattering factors, no anomalous dispersion.

The 10 most intense peaks (2θ = 15–90°), most intense first:
28.44 deg, rel. 100
29.55 deg, rel. 58
27.27 deg, rel. 52
27.09 deg, rel. 45
31.45 deg, rel. 32
46.92 deg, rel. 30
37.07 deg, rel. 23
25.51 deg, rel. 23
48.21 deg, rel. 23
43.99 deg, rel. 16

Atomic structure:
a = 7.7845 Å, b = 7.7845 Å, c = 14.1881 Å
α = 109.18°, β = 109.18°, γ = 63.85°
Fractional coordinates of all 40 atoms:
1 Sn 0.0103 0.3203 0.8847
2 Sn 0.0448 0.7956 0.8857
3 Sn 0.2044 0.9552 0.6143
4 Sn 0.2760 0.4061 0.6220
5 Sn 0.3203 0.0103 0.3847
6 Sn 0.4061 0.2760 0.1220
7 Sn 0.5939 0.7240 0.8780
8 Sn 0.6797 0.9897 0.6153
9 Sn 0.7240 0.5939 0.3780
10 Sn 0.7956 0.0448 0.3857
11 Sn 0.9552 0.2044 0.1143
12 Sn 0.9897 0.6797 0.1153
13 W 0.2928 0.5556 0.4111
14 W 0.4444 0.7072 0.0889
15 W 0.5556 0.2928 0.9111
16 W 0.7072 0.4444 0.5889
17 O 0.0756 0.3513 0.0583
18 O 0.1029 0.8144 0.4565
19 O 0.1742 0.4919 0.2800
20 O 0.1856 0.8971 0.0435
21 O 0.2050 0.4242 0.4657
22 O 0.2948 0.5802 0.1180
23 O 0.3513 0.0756 0.5583
24 O 0.3558 0.5574 0.9232
25 O 0.4198 0.7052 0.3820
26 O 0.4242 0.2050 0.9657
27 O 0.4426 0.6442 0.5768
28 O 0.4919 0.1742 0.7800
29 O 0.5081 0.8258 0.2200
30 O 0.5574 0.3558 0.4232
31 O 0.5758 0.7950 0.0343
32 O 0.5802 0.2948 0.6180
33 O 0.6442 0.4426 0.0768
34 O 0.6487 0.9244 0.4417
35 O 0.7052 0.4198 0.8820
36 O 0.7950 0.5758 0.5343
37 O 0.8144 0.1029 0.9565
38 O 0.8258 0.5081 0.7200
39 O 0.8971 0.1856 0.5435
40 O 0.9244 0.6487 0.9417


# 2
SnW2O8: theoretical PXRD pattern (λ = 1.5418 Å (Cu Kα)), based on a cell relaxed with PBE+U.
Neutral-atom scattering factors, no anomalous dispersion.

The 10 most intense peaks (2θ = 15–90°), most intense first:
24.48 deg, rel. 100
27.94 deg, rel. 71
28.17 deg, rel. 64
21.45 deg, rel. 61
17.92 deg, rel. 60
39.11 deg, rel. 45
38.70 deg, rel. 38
45.72 deg, rel. 34
27.74 deg, rel. 33
36.29 deg, rel. 26

Atomic structure:
a = 5.1370 Å, b = 5.4867 Å, c = 6.7129 Å
α = 109.52°, β = 92.08°, γ = 105.06°
Fractional coordinates of all 11 atoms:
1 Sn 0.0000 0.0000 0.0000
2 W 0.2560 0.4722 0.8131
3 W 0.7440 0.5278 0.1869
4 O 0.0837 0.7622 0.1646
5 O 0.1397 0.7402 0.7585
6 O 0.3308 0.2931 0.5680
7 O 0.3759 0.2986 0.0297
8 O 0.6241 0.7014 0.9703
9 O 0.6692 0.7069 0.4320
10 O 0.8603 0.2598 0.2415
11 O 0.9163 0.2378 0.8354

* * * * *

[1]
# CaMg2InHg2
Calculated powder X-ray diffraction pattern, CuKα. Input: a crystal structure in Alexandria, relaxed with GGA-PBE.

The 12 most intense peaks (2θ from 5° to 70°), sorted by position:
- 3.630 Å, I = 100
- 2.636 Å, I = 72
- 2.503 Å, I = 72
- 2.061 Å, I = 22
- 1.999 Å, I = 11
- 1.971 Å, I = 12
- 1.815 Å, I = 24
- 1.658 Å, I = 12
- 1.591 Å, I = 20
- 1.549 Å, I = 15
- 1.469 Å, I = 24
- 1.445 Å, I = 13

```
6
Lattice="5.007 0.000 0.000 -2.503 4.336 0.000 0.000 0.000 6.638" Properties=species:S:1:pos:R:3 pbc="T T T"
Ca 0.000 0.000 0.000
Mg 0.000 2.891 4.565
Mg 2.503 1.445 2.073
In 0.000 0.000 3.319
Hg 0.000 2.891 1.412
Hg 2.503 1.445 5.226
```

=====

[2]
# CaTb2InHg4
=====
**Reply**
Theoretical powder X-ray diffraction pattern
Compound: NaLaTbCoO6
Radiation: CuKα
Structure: a structure optimized by DFT (PBE+U)

Largest 10 diffraction maxima, in order of rising 2θ, 10 to 80 degrees two-theta:
- 2θ = 19.15°, I 35, hkl 1 1 1
- 2θ = 22.14°, I 9, hkl 2 0 0
- 2θ = 31.52°, I 100, hkl 2 2 0
- 2θ = 37.14°, I 24, hkl 3 1 1
- 2θ = 45.18°, I 33, hkl 4 0 0
- 2θ = 49.49°, I 12, hkl 3 3 1
- 2θ = 56.12°, I 39, hkl 4 2 2
- 2θ = 59.86°, I 7, hkl 3 3 3
- 2θ = 65.80°, I 19, hkl 4 4 0
- 2θ = 74.79°, I 17, hkl 6 2 0

Structure:
Cell: 8.0284 8.0284 8.0284 Å, 90.00 90.00 90.00°
Space group F-43m (No. 216)
Asymmetric unit:
Na: 0.0000 0.0000 0.0000 [4 per cell]
La: 0.0000 0.0000 0.5000 [4 per cell]
Tb: 0.2500 0.2500 0.7500 [4 per cell]
Co: 0.2500 0.2500 0.2500 [4 per cell]
O: 0.0212 0.2500 0.2500 [24 per cell]

* * * * *

# 1
Sn3WO6: theoretical PXRD pattern (λ = 1.5418 Å (Cu Kα)), based on a cell relaxed with PBE+U.
Neutral-atom scattering factors, no anomalous dispersion.

The 10 most intense peaks (2θ = 15–90°), most intense first:
28.44 deg, rel. 100
29.55 deg, rel. 58
27.27 deg, rel. 52
27.09 deg, rel. 45
31.45 deg, rel. 32
46.92 deg, rel. 30
37.07 deg, rel. 23
25.51 deg, rel. 23
48.21 deg, rel. 23
43.99 deg, rel. 16

Atomic structure:
a = 7.7845 Å, b = 7.7845 Å, c = 14.1881 Å
α = 109.18°, β = 109.18°, γ = 63.85°
Fractional coordinates of all 40 atoms:
1 Sn 0.0103 0.3203 0.8847
2 Sn 0.0448 0.7956 0.8857
3 Sn 0.2044 0.9552 0.6143
4 Sn 0.2760 0.4061 0.6220
5 Sn 0.3203 0.0103 0.3847
6 Sn 0.4061 0.2760 0.1220
7 Sn 0.5939 0.7240 0.8780
8 Sn 0.6797 0.9897 0.6153
9 Sn 0.7240 0.5939 0.3780
10 Sn 0.7956 0.0448 0.3857
11 Sn 0.9552 0.2044 0.1143
12 Sn 0.9897 0.6797 0.1153
13 W 0.2928 0.5556 0.4111
14 W 0.4444 0.7072 0.0889
15 W 0.5556 0.2928 0.9111
16 W 0.7072 0.4444 0.5889
17 O 0.0756 0.3513 0.0583
18 O 0.1029 0.8144 0.4565
19 O 0.1742 0.4919 0.2800
20 O 0.1856 0.8971 0.0435
21 O 0.2050 0.4242 0.4657
22 O 0.2948 0.5802 0.1180
23 O 0.3513 0.0756 0.5583
24 O 0.3558 0.5574 0.9232
25 O 0.4198 0.7052 0.3820
26 O 0.4242 0.2050 0.9657
27 O 0.4426 0.6442 0.5768
28 O 0.4919 0.1742 0.7800
29 O 0.5081 0.8258 0.2200
30 O 0.5574 0.3558 0.4232
31 O 0.5758 0.7950 0.0343
32 O 0.5802 0.2948 0.6180
33 O 0.6442 0.4426 0.0768
34 O 0.6487 0.9244 0.4417
35 O 0.7052 0.4198 0.8820
36 O 0.7950 0.5758 0.5343
37 O 0.8144 0.1029 0.9565
38 O 0.8258 0.5081 0.7200
39 O 0.8971 0.1856 0.5435
40 O 0.9244 0.6487 0.9417


# 2
SnW2O8: theoretical PXRD pattern (λ = 1.5418 Å (Cu Kα)), based on a cell relaxed with PBE+U.
Neutral-atom scattering factors, no anomalous dispersion.

The 10 most intense peaks (2θ = 15–90°), most intense first:
24.48 deg, rel. 100
27.94 deg, rel. 71
28.17 deg, rel. 64
21.45 deg, rel. 61
17.92 deg, rel. 60
39.11 deg, rel. 45
38.70 deg, rel. 38
45.72 deg, rel. 34
27.74 deg, rel. 33
36.29 deg, rel. 26

Atomic structure:
a = 5.1370 Å, b = 5.4867 Å, c = 6.7129 Å
α = 109.52°, β = 92.08°, γ = 105.06°
Fractional coordinates of all 11 atoms:
1 Sn 0.0000 0.0000 0.0000
2 W 0.2560 0.4722 0.8131
3 W 0.7440 0.5278 0.1869
4 O 0.0837 0.7622 0.1646
5 O 0.1397 0.7402 0.7585
6 O 0.3308 0.2931 0.5680
7 O 0.3759 0.2986 0.0297
8 O 0.6241 0.7014 0.9703
9 O 0.6692 0.7069 0.4320
10 O 0.8603 0.2598 0.2415
11 O 0.9163 0.2378 0.8354

* * * * *

[1]
# CaMg2InHg2
Calculated powder X-ray diffraction pattern, CuKα. Input: a crystal structure in Alexandria, relaxed with GGA-PBE.

The 12 most intense peaks (2θ from 5° to 70°), sorted by position:
- 3.630 Å, I = 100
- 2.636 Å, I = 72
- 2.503 Å, I = 72
- 2.061 Å, I = 22
- 1.999 Å, I = 11
- 1.971 Å, I = 12
- 1.815 Å, I = 24
- 1.658 Å, I = 12
- 1.591 Å, I = 20
- 1.549 Å, I = 15
- 1.469 Å, I = 24
- 1.445 Å, I = 13

```
6
Lattice="5.007 0.000 0.000 -2.503 4.336 0.000 0.000 0.000 6.638" Properties=species:S:1:pos:R:3 pbc="T T T"
Ca 0.000 0.000 0.000
Mg 0.000 2.891 4.565
Mg 2.503 1.445 2.073
In 0.000 0.000 3.319
Hg 0.000 2.891 1.412
Hg 2.503 1.445 5.226
```

=====

[2]
# CaTb2InHg4